........
# 1
For YTc, the PBE geometry in OQMD gives the calculated PXRD pattern in this record (a wavelength of 1.5418 Å).
Neutral-atom scattering factors, no anomalous dispersion.

Structural model:
```
YTc
1.0
3.367 0.000 0.000
-1.683 2.916 0.000
0.000 0.000 4.297
Y Tc
1 1
Direct
0.000 0.000 0.000 Y
0.333 0.667 0.500 Tc
```

Top 8 peaks for 2θ = 10–90°, in order of rising 2θ:
30.66 deg, 2.916 Å, I 29; 37.27 deg, 2.413 Å, I 100; 42.06 deg, 2.148 Å, I 16; 52.94 deg, 1.730 Å, I 12; 54.51 deg, 1.683 Å, I 22; 67.89 deg, 1.381 Å, I 16; 71.15 deg, 1.325 Å, I 19; 73.69 deg, 1.286 Å, I 13



# 2
For CsRb2As2Pd3, the PBE geometry in OQMD gives the calculated PXRD pattern in this record (a wavelength of 1.5418 Å).
Neutral-atom scattering factors, no anomalous dispersion.

Structural model:
```
CsRb2As2Pd3
1.0
2.983 1.722 7.339
-2.983 1.722 7.339
0.000 -3.444 7.339
Cs Rb As Pd
1 2 2 3
Direct
0.000 0.000 0.000 Cs
0.414 0.414 0.414 Rb
0.586 0.586 0.586 Rb
0.247 0.247 0.247 As
0.753 0.753 0.753 As
0.000 0.000 0.500 Pd
0.000 0.500 0.000 Pd
0.500 0.000 0.000 Pd
```

Top 8 peaks for 2θ = 10–90°, in order of rising 2θ:
12.06 deg, 7.339 Å, I 50; 26.60 deg, 3.351 Å, I 100; 29.96 deg, 2.983 Å, I 53; 32.40 deg, 2.763 Å, I 39; 33.35 deg, 2.687 Å, I 41; 35.70 deg, 2.515 Å, I 39; 38.50 deg, 2.339 Å, I 58; 38.91 deg, 2.315 Å, I 40



# 3
For DyErFe8B2, the PBE geometry in OQMD gives the calculated PXRD pattern in this record (a wavelength of 1.5418 Å).
Neutral-atom scattering factors, no anomalous dispersion.

Structural model:
```
DyErFe8B2
1.0
5.044 0.000 0.000
-2.522 4.368 0.000
0.000 0.000 7.027
Dy Er Fe B
1 1 8 2
Direct
0.000 0.000 0.000 Dy
0.000 0.000 0.500 Er
0.000 0.500 0.214 Fe
0.000 0.500 0.786 Fe
0.333 0.667 0.500 Fe
0.500 0.000 0.214 Fe
0.500 0.000 0.786 Fe
0.500 0.500 0.214 Fe
0.500 0.500 0.786 Fe
0.667 0.333 0.500 Fe
0.333 0.667 0.000 B
0.667 0.333 0.000 B
```

Top 8 peaks for 2θ = 10–90°, in order of rising 2θ:
20.33 deg, 4.368 Å, I 21; 32.71 deg, 2.738 Å, I 97; 35.60 deg, 2.522 Å, I 34; 41.34 deg, 2.184 Å, I 72; 44.21 deg, 2.049 Å, I 100; 62.11 deg, 1.494 Å, I 31; 69.93 deg, 1.345 Å, I 24; 75.37 deg, 1.261 Å, I 19



# 4
For RbSm2Ag3Te5, the PBE geometry in OQMD gives the calculated PXRD pattern in this record (a wavelength of 1.5418 Å).
Neutral-atom scattering factors, no anomalous dispersion.

Structural model:
```
RbSm2Ag3Te5
1.0
2.304 -8.080 0.000
2.304 8.080 0.000
0.000 0.000 18.545
Rb Sm Ag Te
2 4 6 10
Direct
0.058 0.942 0.750 Rb
0.942 0.058 0.250 Rb
0.189 0.811 0.094 Sm
0.189 0.811 0.406 Sm
0.811 0.189 0.594 Sm
0.811 0.189 0.906 Sm
0.335 0.665 0.750 Ag
0.412 0.588 0.028 Ag
0.412 0.588 0.472 Ag
0.588 0.412 0.528 Ag
0.588 0.412 0.972 Ag
0.665 0.335 0.250 Ag
0.174 0.826 0.575 Te
0.174 0.826 0.925 Te
0.262 0.738 0.250 Te
0.441 0.559 0.623 Te
0.441 0.559 0.877 Te
0.559 0.441 0.123 Te
0.559 0.441 0.377 Te
0.738 0.262 0.750 Te
0.826 0.174 0.075 Te
0.826 0.174 0.425 Te
```

Top 8 peaks for 2θ = 10–90°, in order of rising 2θ:
25.44 deg, 3.501 Å, I 50; 25.90 deg, 3.440 Å, I 72; 27.23 deg, 3.276 Å, I 79; 28.89 deg, 3.091 Å, I 55; 32.03 deg, 2.794 Å, I 100; 35.27 deg, 2.544 Å, I 67; 39.12 deg, 2.303 Å, I 92; 42.80 deg, 2.113 Å, I 62



# 5
For HfBiMo, the PBE geometry in OQMD gives the calculated PXRD pattern in this record (a wavelength of 1.5418 Å).
Neutral-atom scattering factors, no anomalous dispersion.

Structural model:
```
HfBiMo
1.0
7.688 0.000 0.000
-3.844 6.658 0.000
0.000 0.000 3.628
Hf Bi Mo
3 3 3
Direct
0.000 0.393 0.000 Hf
0.393 0.000 0.000 Hf
0.607 0.607 0.000 Hf
0.000 0.000 0.000 Bi
0.333 0.667 0.500 Bi
0.667 0.333 0.500 Bi
0.000 0.733 0.500 Mo
0.267 0.267 0.500 Mo
0.733 0.000 0.500 Mo
```

Top 8 peaks for 2θ = 10–90°, in order of rising 2θ:
23.14 deg, 3.844 Å, I 27; 33.98 deg, 2.638 Å, I 100; 35.68 deg, 2.516 Å, I 30; 36.64 deg, 2.453 Å, I 99; 40.65 deg, 2.219 Å, I 80; 43.78 deg, 2.068 Å, I 47; 66.41 deg, 1.408 Å, I 43; 66.59 deg, 1.404 Å, I 38



# 6
........

Find the line above that holds "0.500 Tc", then return that line and all lines after it there, please.

0.333 0.667 0.500 Tc
```

Top 8 peaks for 2θ = 10–90°, in order of rising 2θ:
30.66 deg, 2.916 Å, I 29; 37.27 deg, 2.413 Å, I 100; 42.06 deg, 2.148 Å, I 16; 52.94 deg, 1.730 Å, I 12; 54.51 deg, 1.683 Å, I 22; 67.89 deg, 1.381 Å, I 16; 71.15 deg, 1.325 Å, I 19; 73.69 deg, 1.286 Å, I 13



# 2
For CsRb2As2Pd3, the PBE geometry in OQMD gives the calculated PXRD pattern in this record (a wavelength of 1.5418 Å).
Neutral-atom scattering factors, no anomalous dispersion.

Structural model:
```
CsRb2As2Pd3
1.0
2.983 1.722 7.339
-2.983 1.722 7.339
0.000 -3.444 7.339
Cs Rb As Pd
1 2 2 3
Direct
0.000 0.000 0.000 Cs
0.414 0.414 0.414 Rb
0.586 0.586 0.586 Rb
0.247 0.247 0.247 As
0.753 0.753 0.753 As
0.000 0.000 0.500 Pd
0.000 0.500 0.000 Pd
0.500 0.000 0.000 Pd
```

Top 8 peaks for 2θ = 10–90°, in order of rising 2θ:
12.06 deg, 7.339 Å, I 50; 26.60 deg, 3.351 Å, I 100; 29.96 deg, 2.983 Å, I 53; 32.40 deg, 2.763 Å, I 39; 33.35 deg, 2.687 Å, I 41; 35.70 deg, 2.515 Å, I 39; 38.50 deg, 2.339 Å, I 58; 38.91 deg, 2.315 Å, I 40



# 3
For DyErFe8B2, the PBE geometry in OQMD gives the calculated PXRD pattern in this record (a wavelength of 1.5418 Å).
Neutral-atom scattering factors, no anomalous dispersion.

Structural model:
```
DyErFe8B2
1.0
5.044 0.000 0.000
-2.522 4.368 0.000
0.000 0.000 7.027
Dy Er Fe B
1 1 8 2
Direct
0.000 0.000 0.000 Dy
0.000 0.000 0.500 Er
0.000 0.500 0.214 Fe
0.000 0.500 0.786 Fe
0.333 0.667 0.500 Fe
0.500 0.000 0.214 Fe
0.500 0.000 0.786 Fe
0.500 0.500 0.214 Fe
0.500 0.500 0.786 Fe
0.667 0.333 0.500 Fe
0.333 0.667 0.000 B
0.667 0.333 0.000 B
```

Top 8 peaks for 2θ = 10–90°, in order of rising 2θ:
20.33 deg, 4.368 Å, I 21; 32.71 deg, 2.738 Å, I 97; 35.60 deg, 2.522 Å, I 34; 41.34 deg, 2.184 Å, I 72; 44.21 deg, 2.049 Å, I 100; 62.11 deg, 1.494 Å, I 31; 69.93 deg, 1.345 Å, I 24; 75.37 deg, 1.261 Å, I 19



# 4
For RbSm2Ag3Te5, the PBE geometry in OQMD gives the calculated PXRD pattern in this record (a wavelength of 1.5418 Å).
Neutral-atom scattering factors, no anomalous dispersion.

Structural model:
```
RbSm2Ag3Te5
1.0
2.304 -8.080 0.000
2.304 8.080 0.000
0.000 0.000 18.545
Rb Sm Ag Te
2 4 6 10
Direct
0.058 0.942 0.750 Rb
0.942 0.058 0.250 Rb
0.189 0.811 0.094 Sm
0.189 0.811 0.406 Sm
0.811 0.189 0.594 Sm
0.811 0.189 0.906 Sm
0.335 0.665 0.750 Ag
0.412 0.588 0.028 Ag
0.412 0.588 0.472 Ag
0.588 0.412 0.528 Ag
0.588 0.412 0.972 Ag
0.665 0.335 0.250 Ag
0.174 0.826 0.575 Te
0.174 0.826 0.925 Te
0.262 0.738 0.250 Te
0.441 0.559 0.623 Te
0.441 0.559 0.877 Te
0.559 0.441 0.123 Te
0.559 0.441 0.377 Te
0.738 0.262 0.750 Te
0.826 0.174 0.075 Te
0.826 0.174 0.425 Te
```

Top 8 peaks for 2θ = 10–90°, in order of rising 2θ:
25.44 deg, 3.501 Å, I 50; 25.90 deg, 3.440 Å, I 72; 27.23 deg, 3.276 Å, I 79; 28.89 deg, 3.091 Å, I 55; 32.03 deg, 2.794 Å, I 100; 35.27 deg, 2.544 Å, I 67; 39.12 deg, 2.303 Å, I 92; 42.80 deg, 2.113 Å, I 62



# 5
For HfBiMo, the PBE geometry in OQMD gives the calculated PXRD pattern in this record (a wavelength of 1.5418 Å).
Neutral-atom scattering factors, no anomalous dispersion.

Structural model:
```
HfBiMo
1.0
7.688 0.000 0.000
-3.844 6.658 0.000
0.000 0.000 3.628
Hf Bi Mo
3 3 3
Direct
0.000 0.393 0.000 Hf
0.393 0.000 0.000 Hf
0.607 0.607 0.000 Hf
0.000 0.000 0.000 Bi
0.333 0.667 0.500 Bi
0.667 0.333 0.500 Bi
0.000 0.733 0.500 Mo
0.267 0.267 0.500 Mo
0.733 0.000 0.500 Mo
```

Top 8 peaks for 2θ = 10–90°, in order of rising 2θ:
23.14 deg, 3.844 Å, I 27; 33.98 deg, 2.638 Å, I 100; 35.68 deg, 2.516 Å, I 30; 36.64 deg, 2.453 Å, I 99; 40.65 deg, 2.219 Å, I 80; 43.78 deg, 2.068 Å, I 47; 66.41 deg, 1.408 Å, I 43; 66.59 deg, 1.404 Å, I 38



# 6